
Domain Flagship Building

1.
A plane-wave DFT calculation with PBE with a Hubbard U was carried out for crystalline Li7Mn2Co3O12 at its relaxed geometry.

The structure in CIF format:
```
data_Li7Mn2Co3O12
_chemical_formula_sum 'Li7 Mn2 Co3 O12'
_symmetry_space_group_name_H-M 'P 1'
_symmetry_Int_Tables_number 1
_cell_length_a 2.9830
_cell_length_b 5.9954
_cell_length_c 12.4913
_cell_angle_alpha 76.83
_cell_angle_beta 88.79
_cell_angle_gamma 87.00
loop_
_symmetry_equiv_pos_as_xyz
'x,y,z'
loop_
_atom_site_label
_atom_site_type_symbol
_atom_site_fract_x
_atom_site_fract_y
_atom_site_fract_z
_atom_site_occupancy
Li1 Li 0.0000 0.0000 0.0000 1
Li2 Li 0.0005 0.6756 0.6612 1
Li3 Li 0.4969 0.1678 0.1551 1
Li4 Li 0.5005 0.8393 0.8312 1
Li5 Li 0.5037 0.5145 0.4946 1
Li6 Li 0.5101 0.6898 0.1565 1
Li7 Li 0.9942 0.3520 0.3208 1
Mn1 Mn 0.0052 0.8416 0.3208 1
Mn2 Mn 0.9886 0.1788 0.6614 1
Co1 Co 0.0070 0.5149 0.0018 1
Co2 Co 0.4900 0.0044 0.4961 1
Co3 Co 0.5014 0.3440 0.8299 1
O1 O 0.0014 0.4305 0.1440 1
O2 O 0.0058 0.9233 0.1719 1
O3 O 0.0069 0.7772 0.4863 1
O4 O 0.0309 0.5714 0.8409 1
O5 O 0.4541 0.9329 0.6547 1
O6 O 0.4723 0.2784 0.9853 1
O7 O 0.4867 0.0654 0.3313 1
O8 O 0.5227 0.6255 0.3277 1
O9 O 0.5302 0.4190 0.6688 1
O10 O 0.5368 0.7388 0.9931 1
O11 O 0.9711 0.1101 0.8215 1
O12 O 0.9723 0.2420 0.4975 1
```

Output
calculated density	4.0	g cm⁻³
total energy	-5.836	eV per atom
calculated formation energy	-1840	meV/atom

***

2.
A plane-wave DFT calculation with PBE with a Hubbard U was carried out for crystalline Li4MnCo2O7 at its relaxed geometry.

The structure in CIF format:
```
data_Li4MnCo2O7
_chemical_formula_sum 'Li16 Mn4 Co8 O28'
_symmetry_space_group_name_H-M 'C 1 m 1'
_symmetry_Int_Tables_number 8
_cell_length_a 15.2612
_cell_length_b 2.8955
_cell_length_c 12.9379
_cell_angle_alpha 90.00
_cell_angle_beta 117.98
_cell_angle_gamma 90.00
loop_
_symmetry_equiv_pos_as_xyz
'x,y,z'
'x,-y,z'
'x+1/2,y+1/2,z'
'x+1/2,-y+1/2,z'
loop_
_atom_site_label
_atom_site_type_symbol
_atom_site_fract_x
_atom_site_fract_y
_atom_site_fract_z
_atom_site_occupancy
Li1 Li 0.0000 0.0000 0.0000 1
Li2 Li 0.0024 0.5000 0.4978 1
Li3 Li 0.0727 0.5000 0.8446 1
Li4 Li 0.1288 0.0000 0.6908 1
Li5 Li 0.2130 0.5000 0.5607 1
Li6 Li 0.2865 0.0000 0.4274 1
Li7 Li 0.3705 0.5000 0.3042 1
Li8 Li 0.4396 0.0000 0.1526 1
Mn1 Mn 0.2164 0.0000 0.0646 1
Mn2 Mn 0.3601 0.0000 0.7851 1
Co1 Co 0.0698 0.0000 0.3719 1
Co2 Co 0.1424 0.5000 0.2175 1
Co3 Co 0.2878 0.5000 0.9249 1
Co4 Co 0.4320 0.5000 0.6235 1
O1 O 0.0332 0.5000 0.6793 1
O2 O 0.0438 0.0000 0.1729 1
O3 O 0.1101 0.0000 0.5263 1
O4 O 0.1218 0.5000 0.0294 1
O5 O 0.1749 0.5000 0.3803 1
O6 O 0.1953 0.0000 0.9017 1
O7 O 0.2406 0.0000 0.2258 1
O8 O 0.2661 0.5000 0.7639 1
O9 O 0.3101 0.5000 0.0867 1
O10 O 0.3334 0.0000 0.6278 1
O11 O 0.3805 0.0000 0.9504 1
O12 O 0.3905 0.5000 0.4702 1
O13 O 0.4542 0.5000 0.8221 1
O14 O 0.4688 0.0000 0.3173 1
```

Output
calculated density	4.1	g cm⁻³
total energy	-5.826	eV per atom
calculated formation energy	-1833	meV/atom

***
[Back to the entry]

In the field of transition studies the program Transformative Bioeconomies aims to develop new methodologies, concepts and tools to integrate knowledge and experience from different disciplines or stakeholder groups, and that help to support transitions in a broader sense. In the field of the materials transition the program wants to support the technological and institutional development towards the introduction of sustainable renewable materials and the phase out of the use of fossil feedstock. To combine these two goals the program will focus on two different application of which the building sector is one.

In 2024, we have formulated the following activities in the four selected initiatives/ case studies/ projects

1. Insights in the options of growing fibre crops in The Netherlands

  • Workshop with stakeholders in the building industry to discuss the possibilities of growing Miscanthus for biobased building industry – Building Balance/LTO-meeting, Eemlandhoeve, Bunschoten. 7 March 2024 · Publication of a report “Options of growing fibre crops in The Netherlands”: Opties voor de teelt van vezelgewassen voor biobased bouwmaterialen in de Nederlandse landbouw - Research@WUR.
  • Workshop with stakeholders in the agro industry to discuss the options of growing fibre crops in The Netherlands.

• Here the entry breaks off for crystal structures:
- - -
Rb2TaCuF6: relaxed, PBE.

## Properties
Density = 5.19 g/cm³
ΔH_f (0 K) = -2.52 eV/atom

Cell lengths 8.7849, 8.7849, 8.7849 Å; angles 90.00, 90.00, 90.00 degrees
Space group Fm-3m (No. 225)
One atom of each set of equivalent atoms:
Rb: 0.2500 0.2500 0.2500 (multiplicity 8)
Ta: 0.0000 0.0000 0.0000 (multiplicity 4)
Cu: 0.0000 0.0000 0.5000 (multiplicity 4)
F: 0.0000 0.0000 0.2383 (multiplicity 24)

***

Rb2TlCuF6: relaxed, PBE.

## Properties
Density = 5.33 g/cm³
ΔH_f (0 K) = -2.39 eV/atom

Cell lengths 8.8303, 8.8303, 8.8303 Å; angles 90.00, 90.00, 90.00 degrees
Space group Fm-3m (No. 225)
One atom of each set of equivalent atoms:
Rb: 0.2500 0.2500 0.2500 (multiplicity 8)
Tl: 0.0000 0.0000 0.0000 (multiplicity 4)
Cu: 0.0000 0.0000 0.5000 (multiplicity 4)
F: 0.0000 0.0000 0.2656 (multiplicity 24)

***

SrCuSF: relaxed, PBE.

## Properties
Density = 4.90 g/cm³
ΔH_f (0 K) = -2.30 eV/atom

Cell lengths 3.9678, 3.9678, 8.7066 Å; angles 90.00, 90.00, 90.00 degrees
Space group P4/nmm (No. 129, origin choice 2)
One atom of each set of equivalent atoms:
Sr: 0.2500 0.2500 0.1705 (multiplicity 2)
Cu: 0.2500 0.7500 0.5000 (multiplicity 2)
S: 0.2500 0.2500 0.6603 (multiplicity 2)
F: 0.2500 0.7500 0.0000 (multiplicity 2)

***

Sr2CuS2F: relaxed, PBE.

## Properties
Density = 1.94 g/cm³
ΔH_f (0 K) = -1.04 eV/atom

Cell lengths 4.4247, 4.4247, 14.1052 Å; angles 90.00, 90.00, 90.00 degrees
Space group P4/mmm (No. 123)
One atom of each set of equivalent atoms:
Sr: 0.0000 0.0000 0.1648 (multiplicity 2)
Cu: 0.0000 0.0000 0.5000 (multiplicity 1)
S: 0.0000 0.0000 0.3533 (multiplicity 2)
F: 0.0000 0.0000 0.0000 (multiplicity 1)

***

CuSb2Xe2F16: relaxed, PBE.

## Properties
Density = 3.65 g/cm³
ΔH_f (0 K) = -2.00 eV/atom

Cell lengths 5.6433, 15.0585, 9.3602 Å; angles 90.00, 91.15, 90.00 degrees
Space group P2_1/c (No. 14)
One atom of each set of equivalent atoms:
Cu: 0.0000 0.0000 0.0000 (multiplicity 2)
Sb: 0.4892 0.0814 0.7508 (multiplicity 4)
Xe: 0.0044 0.1679 0.3363 (multiplicity 4)
F: 0.0274 0.2475 0.0031 (multiplicity 4)
F: 0.0327 0.5811 0.3475 (multiplicity 4)
F: 0.2011 0.0796 0.6409 (multiplicity 4)
F: 0.2245 0.5826 0.6253 (multiplicity 4)
F: 0.3068 0.0674 0.9267 (multiplicity 4)
F: 0.3243 0.5974 0.9150 (multiplicity 4)
F: 0.4734 0.2072 0.7800 (multiplicity 4)
F: 0.4815 0.0446 0.2598 (multiplicity 4)

***

Sm2CuSe2F: relaxed, PBE.

## Properties
Density = 5.10 g/cm³
ΔH_f (0 K) = -0.78 eV/atom

Cell lengths 3.4887, 3.4887, 14.4896 Å; angles 90.00, 90.00, 90.00 degrees
Space group P4/mmm (No. 123)
One atom of each set of equivalent atoms:
Sm: 0.0000 0.0000 0.1566 (multiplicity 2)
Cu: 0.0000 0.0000 0.5000 (multiplicity 1)
Se: 0.0000 0.0000 0.3452 (multiplicity 2)
F: 0.0000 0.0000 0.0000 (multiplicity 1)

***

SrCuSeF: relaxed, PBE.

## Properties
Density = 5.55 g/cm³
ΔH_f (0 K) = -2.14 eV/atom

Cell lengths 4.0938, 4.0938, 8.9012 Å; angles 90.00, 90.00, 90.00 degrees
Space group P4/nmm (No. 129, origin choice 2)
One atom of each set of equivalent atoms:
- - -

    2. Insights in perceptions of users of wooden houses. What is the aggregated evidence? Which story to be told?

    • Workshop with stakeholders in the building industry De Nederlandse Branchevereniging voor de Timmerindustrie.
    • Submission of the paper: User perspective on wooden housing: sustainable innovation to transition building and construction industry towards a biobased and circular economy" submitted and accepted for IPDMC June 2025.

    3. Project “ Potential Dutch biomass for building materials” to present/ visualize the potential role of biomass for biobased building sector based on the (future) characteristics such as water, landscape, soil in the Netherlands. What are the possibilities for what kind of biomass in the Netherlands in the future? Taking also into account future developments on climate.

    • Deliverables: A PPT and a visual of the Netherlands what kind of biomass could be produced where for the building industry, presented at (1) Dutch Design Week, (2) the WUR conference “Transition towards a circular bioeconomy: Finding integral answers together”, (3) Wageningen Design Dialogues, (4) Building Balance-WUR, (5) Vrouwennetwerk Arnhem-Nijmegen, and the authors aim to realize a (glossy) document early in 2025.

    4. Project positioning WUR Building Materials aiming at advancing communication materials for students & external stakeholders, support educational and project leads, advance collaboration HEIs and MBO (Lectorenberaad, Groen Kennisnet) and to build a network of WUR-expertise on biobased building materials, as a first step in the development of a Center of Expertise on sustainable materials.

    • Project proposal Accelerating Biobased Innovative Solutions (ABIS) - An ecosystem upscaling approach for commercial success and societal impact, Collaborative Application by Hague University of Applied Sciences, Wageningen University, Maastricht University, and Avans University of Applied Sciences, for NWO call Realisation, acceleration and upscaling of mission-driven innovation (KIC) 2023-2024.
    • ACT-projects.
    • 2024 monthly Lunch seminar series with 1-2 experts per seminar. It strengthened a (small) network of experts within WUR that is working on and interested in biobased building materials.
    • BSc-thesis Nout van Dillen “Strategische alliantievormen voor de korte toeleveringsketen van tarwestro als biobased inblaasisolatie binnen Nederland” WU-BMO.
    • MSc-thesis Susan van Dongen “Alliance Design and Ecosystem Value Propositions for Biobased Building Materials: A case study in Southeast Brabant, The Netherlands” WU-BMO.
    • Notes of several meetings which we attended, f.e. WeGrow, Lectorenberaad Biobased Economy, Rusthoeve, LenteAkkoord 2.0.
    • (draft) White Paper Accelerating the transition to a Circular and Sustainable Built Environment in 2035: Role and vision of the 4 Dutch Technical Universities
    • Conference Building Balance.

